I miss writing when I don't...

I am in this interesting moment where I have this teenager's appetite for learning.

I am not sure if I have ever been reading more books at one time.

I don't recommend that - but the invention of the digital book makes jumping from one to the next a little too easy.

One book that I have read, re-read, and recently re-read again is called "essentialism" by Greg McKeown.  It is an absolute MUST read.  

It won't tell you anything that you don't already know... but it will push you, encourage you, motivate you to do the things you know are right to do in how you think about and live your life.

I came across one chapter called "FOCUS:  What is important NOW?" which speaks so clearly about harmony.  Harmony works to tie the two together.  His chapter stresses the being present in the now... and find the magic of tying the now into our vision for the future.

It makes me more certain that harmony is the core of success and happiness.

What comes next are data records, not part of the piece
┌──
Record 1
Here is an optimized crystal structure of Na10La4Nb4Si9S3O48 from the Materials Project. Energies are from PBE.

CIF file:
```
data_Na10La4Nb4Si9S3O48
_chemical_formula_sum 'Na30 La12 Nb12 Si27 S9 O144'
_symmetry_space_group_name_H-M 'P 1'
_symmetry_Int_Tables_number 1
_cell_length_a 9.424
_cell_length_b 16.490
_cell_length_c 23.043
_cell_angle_alpha 88.17
_cell_angle_beta 89.70
_cell_angle_gamma 89.82
loop_
_symmetry_equiv_pos_as_xyz
'x,y,z'
loop_
_atom_site_label
_atom_site_type_symbol
_atom_site_fract_x
_atom_site_fract_y
_atom_site_fract_z
Na1 Na 0.000 0.000 0.000
Na2 Na 0.002 0.337 0.331
Na3 Na 0.011 0.362 0.992
Na4 Na 0.022 0.024 0.659
Na5 Na 0.030 0.667 0.005
Na6 Na 0.166 0.862 0.411
Na7 Na 0.173 0.511 0.584
Na8 Na 0.198 0.865 0.915
Na9 Na 0.208 0.191 0.255
Na10 Na 0.212 0.200 0.751
Na11 Na 0.226 0.525 0.086
Na12 Na 0.349 0.667 0.502
Na13 Na 0.351 0.362 0.500
Na14 Na 0.360 0.021 0.158
Na15 Na 0.377 0.000 0.500
Na16 Na 0.381 0.692 0.826
Na17 Na 0.502 0.837 0.330
Na18 Na 0.523 0.524 0.659
Na19 Na 0.533 0.857 0.999
Na20 Na 0.667 0.362 0.412
Na21 Na 0.673 0.012 0.582
Na22 Na 0.673 0.369 0.918
Na23 Na 0.699 0.020 0.081
Na24 Na 0.706 0.692 0.252
Na25 Na 0.708 0.696 0.755
Na26 Na 0.848 0.168 0.501
Na27 Na 0.851 0.862 0.500
Na28 Na 0.860 0.524 0.157
Na29 Na 0.866 0.191 0.825
Na30 Na 0.877 0.500 0.501
La1 La 0.174 0.841 0.270
La2 La 0.191 0.185 0.605
La3 La 0.194 0.510 0.932
La4 La 0.194 0.512 0.428
La5 La 0.196 0.182 0.106
La6 La 0.197 0.846 0.771
La7 La 0.675 0.340 0.270
La8 La 0.682 0.011 0.934
La9 La 0.688 0.684 0.104
La10 La 0.691 0.685 0.606
La11 La 0.694 0.012 0.427
La12 La 0.698 0.348 0.772
Nb1 Nb 0.168 0.505 0.234
Nb2 Nb 0.175 0.170 0.897
Nb3 Nb 0.181 0.833 0.563
Nb4 Nb 0.203 0.178 0.402
Nb5 Nb 0.203 0.833 0.062
Nb6 Nb 0.218 0.503 0.734
Nb7 Nb 0.667 0.003 0.233
Nb8 Nb 0.682 0.334 0.563
Nb9 Nb 0.687 0.679 0.903
Nb10 Nb 0.703 0.678 0.402
Nb11 Nb 0.709 0.336 0.067
Nb12 Nb 0.711 0.002 0.733
Si1 Si 0.032 0.325 0.497
Si2 Si 0.054 0.025 0.507
Si3 Si 0.057 0.687 0.169
Si4 Si 0.059 0.356 0.840
Si5 Si 0.323 0.688 0.674
Si6 Si 0.326 0.024 0.007
Si7 Si 0.328 0.355 0.341
Si8 Si 0.380 0.018 0.339
Si9 Si 0.392 0.679 0.002
Si10 Si 0.397 0.349 0.669
Si11 Si 0.484 0.847 0.173
Si12 Si 0.492 0.179 0.502
Si13 Si 0.508 0.521 0.837
Si14 Si 0.532 0.825 0.497
Si15 Si 0.554 0.526 0.506
Si16 Si 0.557 0.855 0.840
Si17 Si 0.558 0.187 0.170
Si18 Si 0.824 0.189 0.674
Si19 Si 0.826 0.525 0.006
Si20 Si 0.827 0.855 0.341
Si21 Si 0.854 0.823 0.999
Si22 Si 0.879 0.518 0.340
Si23 Si 0.892 0.181 0.002
Si24 Si 0.897 0.849 0.670
Si25 Si 0.991 0.679 0.502
Si26 Si 0.992 0.348 0.175
Si27 Si 0.995 0.015 0.839
S1 S 0.020 0.989 0.165
S2 S 0.025 0.654 0.835
S3 S 0.363 0.322 0.000
S4 S 0.363 0.988 0.664
S5 S 0.365 0.658 0.335
S6 S 0.522 0.156 0.833
S7 S 0.525 0.485 0.166
S8 S 0.863 0.487 0.663
S9 S 0.865 0.158 0.336
O1 O 0.006 0.193 0.942
O2 O 0.007 0.525 0.282
O3 O 0.008 0.859 0.611
O4 O 0.020 0.492 0.666
O5 O 0.024 0.159 0.333
O6 O 0.031 0.818 0.007
O7 O 0.057 0.940 0.113
└──

I love the book - and I am so convinced that it's not just about BEING in the moment, but deliberately using moments to propel us forward.  It's not that I am not considering what is important tomorrow and beyond... it's that I am ACTING in the now...  boiling the FUTURE vision into PRESENT action.  That is harmony.

It also makes me more certain that the concept doesn't belong to me... it is the common denominator of great understanding.  Harmony is simply my interpretation, my experience, my take on the "absolute truth" of what I believe success is for all of us human beings.

"Life is available only in the present moment.

If you abandon the present moment, you cannot live the moments of your daily life deeply."

Thich Nhat Hanh

This is the quote that opens up the chapter (the book is full of wonderful quotes).

It talks about "time" and explains that in Greek, chronos is quantitative time, and kairos is qualitative.  "Kairos is only experienced wihen we exist in the now."

I love the concept of talking and experiencing time in different ways... because the little stop watch that is in my head ticking away my life isn't the one that brings me peace and joy.

Greg writes...

"Nonessentialists tend to be so preoccupied with past successes and failures, as well as future challenges and opportunitiies, that they miss the present moment."

"When faced with so many tasks and obligations that you cant figure out which to tackle first, stop.  Take a deep breath.  Get present in the moment and ask yourself what is most important this very second - not what's most important tomorrow or even an hour from now. "

I LOVE reading ideas that make me pause.... wait... did I just read that or did I just think that... I've thought that all along.  When authors articulate your thoughts in clearer terms.... when they bring our ideas and values and fears to life.... we connect.  

We are no longer alone in feeling  or experiencing it  - nor perhaps in solving it.

If I could only read one book in my life - this is high on the list that might make it.

When I spoke for the first time about Harmony I used the metaphor that feels so very real...

I FEEL LIKE I HAVE LIVED MOST OF MY LIFE IN SOMEONE ELSE'S HOME...  and, I end it by saying, "My whole life - I've always been 'a moment' away from home.  And, I am home in harmony."...  I love that metaphor because it feels so very close to the feeling of disharmony...

Greg writes at the end of his chapter on Focus...

"Mindfulness helps you go home to the present."  

And, the concept that harmony begets harmony is at the core of the concept...

Greg finishes the chapter with the following sentence...

"And every time you go there and recognize a condition of happiness that you have, happiness comes."

If you have a chance pick up a copy of "essentialism"...

So many voices telling us a similar approach... and so many forces of our human condition constantly challenging them...

Attached: records of crystals.
____________
Compound: NaH8O5
Source: the Materials Project database
Functional: r²SCAN
Structure: optimized geometry

crystal system: monoclinic
energy of formation from the pure elements: -1102.8 meV/atom
energy: -5.465 eV/atom

a = 7.7493 Å, b = 7.7493 Å, c = 11.1417 Å
α = 115.76°, β = 115.76°, γ = 48.68°
Fractional positions:
Na 0.1961 0.2051 0.4301
Na 0.2051 0.1961 0.9301
Na 0.7949 0.8039 0.0699
Na 0.8039 0.7949 0.5699
H 0.0334 0.0771 0.6635
H 0.0771 0.0334 0.1635
H 0.1005 0.3698 0.6885
H 0.1055 0.7582 0.4853
H 0.1404 0.6254 0.9280
H 0.1866 0.6580 0.2917
H 0.2418 0.8945 0.0147
H 0.2666 0.4424 0.7122
H 0.2865 0.6749 0.6262
H 0.2922 0.5482 0.0682
H 0.3251 0.7135 0.8738
H 0.3420 0.8134 0.2083
H 0.3698 0.1005 0.1885
H 0.3746 0.8596 0.5720
H 0.4424 0.2666 0.2122
H 0.4518 0.7078 0.4318
H 0.5482 0.2922 0.5682
H 0.5576 0.7334 0.7878
H 0.6254 0.1404 0.4280
H 0.6302 0.8995 0.8115
H 0.6580 0.1866 0.7917
H 0.6749 0.2865 0.1262
H 0.7078 0.4518 0.9318
H 0.7135 0.3251 0.3738
H 0.7334 0.5576 0.2878
H 0.7582 0.1055 0.9853
H 0.8134 0.3420 0.7083
H 0.8596 0.3746 0.0720
H 0.8945 0.2418 0.5147
H 0.8995 0.6302 0.3115
H 0.9229 0.9666 0.8365
H 0.9666 0.9229 0.3365
O 0.0168 0.7576 0.2975
O 0.1219 0.8006 0.5841
O 0.1256 0.4453 0.6529
____________

Give in...

To harmony!


